Filter the listing below: keep the lines with the word "Alexandria", please.

- - -
This entry pairs a crystal structure of Cr3Fe2Sb3O16 with its theoretical X-ray diffraction stick pattern. Radiation: Cu Kα, 1.54184 Å. Structure: the PBE+U geometry in Alexandria.

Structural model:
```
Cr3Fe2Sb3O16
1.0
5.237 -3.028 0.000
5.237 3.028 0.000
-0.135 0.000 9.176
Cr Fe Sb O
3 2 3 16
Direct
0.000 0.000 0.000
0.165 0.663 0.500
0.663 0.165 0.500
0.156 0.156 0.287
0.485 0.485 0.779
0.000 0.496 0.003
0.496 0.000 0.003
0.662 0.662 0.503
0.001 0.500 0.395
0.159 0.660 0.892
0.165 0.165 0.884
0.311 0.876 0.127
0.314 0.314 0.133
0.344 0.781 0.626
0.355 0.355 0.612
0.496 0.496 0.388
0.500 0.001 0.395
0.660 0.159 0.892
0.664 0.664 0.890
0.781 0.344 0.626
0.832 0.832 0.606
0.833 0.833 0.112
0.876 0.311 0.127
0.993 0.993 0.402
```
- - -

This entry pairs a crystal structure of Cr3Fe2Sb3O16 with its theoretical X-ray diffraction stick pattern. Radiation: Cu Kα, 1.54184 Å. Structure: the PBE+U geometry in Alexandria.